No. 167.
Mr. Peirce
to Mr. Evarts.
Legation of
the United States,
Honolulu, Hawaiian
Islands, May 31, 1877.
(Received July 6.)
No. 393.]
Sir: I have the honor to inclose herewith two
official printed copies of a proclamation of neutrality on the part of this
kingdom in regard to the war existing or impending in Europe. It was
published in the Hawaiian Gazette of yesterday, May 30. A copy in manuscript
was forwarded to me by the minister of foreign affairs on the 26th instant,
with a request for my opinion on the proclamation.
In my reply, under date of the 28th instant, I said to Minister Garter that
~~~
## Hf2GeAuO (PBE)

Data for an optimized crystal structure of Hf2GeAuO.

Properties
The calculation puts the theoretical density at 12222 kg/m³. The formation energy (no corrections) is -0.73 eV per atom. The space group is No. 123. The calculation puts the density of states at the Fermi level at 2.71 states/eV/cell.

a = 4.257 Å, b = 4.257 Å, c = 4.817 Å
α = 90.00°, β = 90.00°, γ = 90.00°
Element x y z (fractional)
Hf (0.000, 0.500, 0.000)
Hf (0.500, 0.000, 0.000)
~~~
the measure proposed seemed to me legal, wise, and judicious, and I
suggested that, in view of the fact of the large number of vessels sailing
under the Hawaiian flag and register, this government should take the
present occasion to again proclaim its adhesion to the humane
[Page 299]
and enlightened principles and
rules of war and neutrality agreed to by the convention of July 22, 1854,
between the United States and Russia; that His late Majesty Kamehameha IV,
by advice and consent of his cabinet and council, adopted said rules on the
26th March, 1855, but that no action had since been taken by this government
to make those principles and rules permanent and immutable by a
The publication of the King’s proclamation was no doubt hastened by the fact
of the arrival here, since the 29th instant, of the Russian admiral Pouzino,
with three ships of war under his command, and others are expected to
follow. They are from San Francisco, and to sail in a few days for the
Admiral Pouzino called upon me yesterday and I shall return his visit
With great respect, &c.,
[Coat of arms.]
Kalakaua, by the grace of God, of the Hawaiian
Islands, King:
Whereas a state of war unhappily exists or may be pending between certain
European powers; and whereas the kingdom of the Hawaiian Islands is on
terms of friendship with all nations, and its laws impose upon all
persons who may be within its territory and jurisdiction the duty of an
impartial neutrality in time of war:
Now, therefore, we, Kalakaua, by the grace of God King of the Hawaiian
Islands, do hereby declare and proclaim the neutrality of this kingdom,
its subjects, and of all persons within its territory and jurisdiction,
in the war now existing or impending between the great powers of Europe;
that the neutrality is to be respected by all belligerents to the full
extent of our jurisdiction, including not less than one marine league
from the low-water mark on the respective coasts of the islands
composing this kingdom, and also all its ports, harbors, bays, gulfs,
estuaries, and arms of the sea cut off by lines drawn from one headland
to another; and that all captures and seizures, enlistments, or other
acts, in violation of our neutrality, within our jurisdiction, are
We do hereby further declare and proclaim that our subjects and all
persons within the territory and jurisdiction of this kingdom, and all
vessels registered or sailing under the flag thereof, are hereby
strictly enjoined to take no part, directly or indirectly, in said war,
and that whatever privileges shall be accorded to the vessels of one
belligerent within the ports of this kingdom shall be in like manner
accorded to the vessels of the others.
Done at our palace of
this 29th day of May,
A. D. 1877.
By the King:
Henry A. P.
Minister of Foreign